********
Below is 4 unconnected molecules or ions with the total composition C22H41F2NO10S in a non-equilibrium geometry, with properties calculated with the ωB97M-V functional and the def2-TZVPD basis.

The energy relative to the best compared isomer or geometry (same formula, charge and spin) is 0.0 kcal/mol. The LUMO energy is 0.56 eV. The value obtained for the orbital gap is 9.730 eV. The calculated total energy is -2268.0005 Ha.

The geometry in XYZ format:
```
77
C22H41F2NO10S the ωB97M-V functional and the def2-TZVPD basis
C -0.13733 -6.19418 2.90299
C -0.62223 -4.77695 2.75350
N 0.01047 -4.03637 1.61584
C -0.93720 -3.07531 1.16758
O -0.85240 -2.42738 0.13804
C -2.04510 -3.03504 2.23481
C -3.27284 -2.20931 1.90537
C -3.75419 -1.42111 3.11648
F -3.66707 -2.17175 4.29194
C -2.11630 -4.53722 2.50413
F -2.40997 -5.15247 1.26699
C -3.07031 -5.12773 3.51221
C -4.56162 -4.94408 3.21064
C -5.41479 -6.00620 3.90807
S -6.99609 -6.28333 3.04522
H -0.66657 -6.67994 3.71734
H -0.20933 -6.77664 1.98872
H 0.90909 -6.17007 3.20197
H -0.32419 -4.20594 3.63201
H 0.10564 -4.69973 0.84915
H -1.52112 -2.53733 3.05316
H -4.07737 -2.80410 1.48616
H -3.02614 -1.45434 1.15794
H -3.16934 -0.51453 3.25491
H -4.80060 -1.14117 3.00808
H -2.83437 -4.74866 4.50636
H -2.87796 -6.20064 3.53801
H -4.71031 -5.03516 2.13727
H -4.88254 -3.95625 3.52143
H -4.86163 -6.93968 3.94350
H -5.64545 -5.71587 4.92833
H -6.93878 -5.26868 2.17633
C 0.78055 -0.62726 -1.71579
C 0.28619 0.75133 -1.34746
O 1.36781 1.67840 -1.13358
C 1.93745 2.16382 -2.22839
O 1.62120 1.93370 -3.36625
O 2.94015 2.95978 -1.84885
C 3.70109 3.50014 -2.93367
H 1.48530 -0.99152 -0.96856
H -0.05148 -1.31911 -1.77462
H 1.29337 -0.61628 -2.67867
H -0.24859 0.71637 -0.40041
H -0.39554 1.14872 -2.09840
H 3.05446 3.99795 -3.65197
H 4.26883 2.71091 -3.42411
H 4.38454 4.22304 -2.49841
C -1.01270 1.83190 -5.16240
C -1.44988 2.84919 -4.13358
O -2.02586 4.01756 -4.74253
C -3.27888 3.88395 -5.16220
O -3.97020 2.90675 -5.04838
O -3.65143 5.03578 -5.72237
C -4.96871 5.02029 -6.27501
H -0.33943 2.29209 -5.88594
H -0.49493 1.00256 -4.68441
H -1.86996 1.43890 -5.70900
H -0.58793 3.21048 -3.57902
H -2.15536 2.42266 -3.41925
H -5.69671 4.69081 -5.53740
H -5.00287 4.37144 -7.14870
H -5.18728 6.04183 -6.57185
C 4.91436 3.82611 0.44674
C 6.24589 3.13416 0.26086
O 7.35427 4.00899 0.52916
C 7.62248 4.21064 1.81527
O 7.05447 3.71072 2.74914
O 8.64887 5.05801 1.89390
C 9.01408 5.41495 3.22847
H 4.87164 4.73858 -0.15021
H 4.10406 3.17118 0.14854
H 4.76346 4.10936 1.48808
H 6.37173 2.82984 -0.77733
H 6.32232 2.24053 0.87938
H 9.19106 4.52909 3.83378
H 8.23536 6.02683 3.68086
H 9.93065 5.99204 3.15003
```

These are the Löwdin partial charges, in e, on atoms 1 to 4: -0.03 -0.30 0.12 -0.38

* * * * *

ORCA calculation (ωB97M-V with the def2-TZVPD basis set) on C28H54Cl5MgN3O9S3 as an isolated structure in a non-equilibrium geometry.

As for the HOMO energy: -0.2497 Eh. For the lowest unoccupied orbital energy, the calculation gives -5.2899 eV. The net charge is 0.

Positions of all 103 atoms, in Å:
1 C -4.5150 -5.7450 1.5281
2 C -3.6485 -4.9460 0.8430
3 C -3.4543 -3.5073 1.2324
4 O -2.1217 -3.0358 1.3182
5 C -1.2813 -3.4389 0.2270
6 C -0.5258 -2.1916 -0.2634
7 C 0.6887 -1.7676 0.5449
8 C 1.4383 -0.7727 -0.3548
9 S 2.7385 0.0599 0.4953
10 C 3.1820 1.4359 -0.5900
11 S 1.9812 2.4540 -0.8616
12 N 4.4751 1.5167 -1.1212
13 C 4.9959 2.8936 -1.0481
14 C 4.8390 3.5292 0.3535
15 C 4.3643 1.0344 -2.5249
16 C 5.5593 1.4035 -3.3886
17 C -0.3541 -4.5369 0.7247
18 C 0.7337 -4.9576 -0.2941
19 C 0.2425 -4.9691 -1.7292
20 O -0.8508 -5.4259 -2.0578
21 O 1.1285 -4.4609 -2.6626
22 C -4.3444 -2.5143 0.4262
23 N -3.5845 -1.7948 -0.5745
24 C -5.0055 -1.4491 1.3542
25 C -4.1839 -0.9658 2.5737
26 C -2.8127 -0.3200 2.3392
27 C -2.8984 1.2142 2.4761
28 S -1.2228 1.8224 2.5511
29 O -1.1485 3.2517 2.5101
30 O -0.4724 1.1307 1.5361
31 O -0.7344 1.2281 3.9574
32 N -5.4412 -3.2905 -0.2253
33 C -6.4197 -2.4521 -0.9329
34 C -7.0518 -3.1777 -2.1298
********

What is needed: return the part of the material earlier on that starts with the line with "3.94350" and stops after the one with "For the".

H -4.86163 -6.93968 3.94350
H -5.64545 -5.71587 4.92833
H -6.93878 -5.26868 2.17633
C 0.78055 -0.62726 -1.71579
C 0.28619 0.75133 -1.34746
O 1.36781 1.67840 -1.13358
C 1.93745 2.16382 -2.22839
O 1.62120 1.93370 -3.36625
O 2.94015 2.95978 -1.84885
C 3.70109 3.50014 -2.93367
H 1.48530 -0.99152 -0.96856
H -0.05148 -1.31911 -1.77462
H 1.29337 -0.61628 -2.67867
H -0.24859 0.71637 -0.40041
H -0.39554 1.14872 -2.09840
H 3.05446 3.99795 -3.65197
H 4.26883 2.71091 -3.42411
H 4.38454 4.22304 -2.49841
C -1.01270 1.83190 -5.16240
C -1.44988 2.84919 -4.13358
O -2.02586 4.01756 -4.74253
C -3.27888 3.88395 -5.16220
O -3.97020 2.90675 -5.04838
O -3.65143 5.03578 -5.72237
C -4.96871 5.02029 -6.27501
H -0.33943 2.29209 -5.88594
H -0.49493 1.00256 -4.68441
H -1.86996 1.43890 -5.70900
H -0.58793 3.21048 -3.57902
H -2.15536 2.42266 -3.41925
H -5.69671 4.69081 -5.53740
H -5.00287 4.37144 -7.14870
H -5.18728 6.04183 -6.57185
C 4.91436 3.82611 0.44674
C 6.24589 3.13416 0.26086
O 7.35427 4.00899 0.52916
C 7.62248 4.21064 1.81527
O 7.05447 3.71072 2.74914
O 8.64887 5.05801 1.89390
C 9.01408 5.41495 3.22847
H 4.87164 4.73858 -0.15021
H 4.10406 3.17118 0.14854
H 4.76346 4.10936 1.48808
H 6.37173 2.82984 -0.77733
H 6.32232 2.24053 0.87938
H 9.19106 4.52909 3.83378
H 8.23536 6.02683 3.68086
H 9.93065 5.99204 3.15003
```

These are the Löwdin partial charges, in e, on atoms 1 to 4: -0.03 -0.30 0.12 -0.38

* * * * *

ORCA calculation (ωB97M-V with the def2-TZVPD basis set) on C28H54Cl5MgN3O9S3 as an isolated structure in a non-equilibrium geometry.

As for the HOMO energy: -0.2497 Eh. For the lowest unoccupied orbital energy, the calculation gives -5.2899 eV. The net charge is 0.